Could you write out the lines further down up to the one that holds "50.3", that line included?

********
# 1
The following is a calculated powder XRD pattern of RbTcNiAs3. It was derived from a cell relaxed with PBE, using Cu Kα (λ = 1.5418 Å).
No peak broadening, texture or thermal motion is included.

Structure:
```
data_RbTcNiAs3
_cell_length_a 8.4022
_cell_length_b 3.9280
_cell_length_c 9.4310
_cell_angle_alpha 90.00
_cell_angle_beta 114.17
_cell_angle_gamma 90.00
_symmetry_space_group_name_H-M 'P 1 21/m 1'
_symmetry_Int_Tables_number 11
_symmetry_space_group_name_Hall '-P 2yb'
loop_
_atom_site_label
_atom_site_type_symbol
_atom_site_fract_x
_atom_site_fract_y
_atom_site_fract_z
_atom_site_occupancy
Rb1 Rb 0.0093 0.2500 0.2388 1
Tc1 Tc 0.4493 0.7500 0.6869 1
Ni1 Ni 0.4951 0.2500 0.9049 1
As1 As 0.2638 0.2500 0.6514 1
As2 As 0.3237 0.2500 0.0509 1
As3 As 0.3989 0.7500 0.3995 1
```

Principal peaks in the range 2θ = 15–90°, sorted by position:
| (hkl) | two_theta | d/Å | I/Imax |
| --- | --- | --- | --- |
| 1 0 2 | 27.6 | 3.229 | 20.5 |
| 1 1 1 | 29.3 | 3.046 | 21.0 |
| 2 1 -1 | 31.2 | 2.868 | 100.0 |
| 2 1 -3 | 38.2 | 2.357 | 32.1 |
| 0 1 3 | 38.9 | 2.316 | 24.0 |
| 3 1 0 | 42.2 | 2.142 | 20.0 |
| 3 1 -3 | 43.2 | 2.095 | 19.3 |
| 2 1 2 | 44.0 | 2.056 | 26.8 |
| 0 2 0 | 46.2 | 1.964 | 35.9 |
| 4 1 -3 | 50.8 | 1.797 | 21.0 |

# 2
The following is a calculated powder XRD pattern of Ce2Ga3BiPt4. It was derived from a cell relaxed with PBE, using Cu Kα (λ = 1.5418 Å).
No peak broadening, texture or thermal motion is included.

Structure:
```
data_Ce2Ga3BiPt4
_cell_length_a 4.2301
_cell_length_b 4.2301
_cell_length_c 11.4780
_cell_angle_alpha 90.00
_cell_angle_beta 90.00
_cell_angle_gamma 90.00
_symmetry_space_group_name_H-M 'P -4 m 2'
_symmetry_Int_Tables_number 115
_symmetry_space_group_name_Hall 'P -4 -2'
loop_
_atom_site_label
_atom_site_type_symbol
_atom_site_fract_x
_atom_site_fract_y
_atom_site_fract_z
_atom_site_occupancy
Ce1 Ce 0.0000 0.5000 0.2360 1
Ga1 Ga 0.0000 0.5000 0.8766 1
Ga2 Ga 0.5000 0.5000 0.5000 1
Bi1 Bi 0.0000 0.0000 0.5000 1
Pt1 Pt 0.0000 0.0000 0.0000 1
Pt2 Pt 0.0000 0.5000 0.6632 1
Pt3 Pt 0.5000 0.5000 0.0000 1
```

Principal peaks in the range 2θ = 15–90°, sorted by position:
| (hkl) | two_theta | d/Å | I/Imax |
| --- | --- | --- | --- |
| 1 0 2 | 26.2 | 3.405 | 11.7 |
| 1 0 3 | 31.5 | 2.838 | 17.4 |
| 1 1 2 | 33.8 | 2.652 | 100.0 |
| 1 0 4 | 37.9 | 2.375 | 11.3 |
| 2 0 0 | 42.8 | 2.115 | 46.1 |
| 1 1 4 | 43.7 | 2.071 | 23.7 |
| 1 0 5 | 44.9 | 2.018 | 18.8 |
| 2 2 0 | 62.1 | 1.496 | 15.4 |
| 2 1 5 | 63.7 | 1.460 | 13.3 |
| 3 1 2 | 72.6 | 1.303 | 22.3 |

# 3
The following is a calculated powder XRD pattern of LaSmHoZn. It was derived from a cell relaxed with PBE, using Cu Kα (λ = 1.5418 Å).
No peak broadening, texture or thermal motion is included.

Structure:
```
data_LaSmHoZn
_cell_length_a 3.6301
_cell_length_b 3.6301
_cell_length_c 8.8150
_cell_angle_alpha 90.00
_cell_angle_beta 90.00
_cell_angle_gamma 90.00
_symmetry_space_group_name_H-M 'P 4 m m'
_symmetry_Int_Tables_number 99
_symmetry_space_group_name_Hall 'P 4 -2'
loop_
_atom_site_label
_atom_site_type_symbol
_atom_site_fract_x
_atom_site_fract_y
_atom_site_fract_z
_atom_site_occupancy
La1 La 0.0000 0.0000 0.0000 1
Sm1 Sm 0.5000 0.5000 0.6953 1
Ho1 Ho 0.5000 0.5000 0.2948 1
Zn1 Zn 0.0000 0.0000 0.4846 1
```

Principal peaks in the range 2θ = 15–90°, sorted by position:
| (hkl) | two_theta | d/Å | I/Imax |
| --- | --- | --- | --- |
| 1 0 1 | 26.6 | 3.357 | 19.6 |
| 0 0 3 | 30.4 | 2.938 | 13.5 |
| 1 0 2 | 31.9 | 2.802 | 100.0 |
| 1 1 0 | 35.0 | 2.567 | 50.1 |
| 1 0 3 | 39.5 | 2.284 | 9.5 |
| 1 1 3 | 47.0 | 1.933 | 16.4 |
| 2 0 0 | 50.3 | 1.815 | 17.8 |
| 1 0 5 | 58.2 | 1.586 | 12.6 |
| 2 1 2 | 60.8 | 1.523 | 31.3 |
| 2 1 5 | 80.4 | 1.194 | 10.0 |

# 4
The following is a calculated powder XRD pattern of Tl4Ga3Hg16. It was derived from a cell relaxed with PBE, using Cu Kα (λ = 1.5418 Å).
No peak broadening, texture or thermal motion is included.

Structure:
```
data_Tl4Ga3Hg16
_cell_length_a 7.1128
_cell_length_b 7.1130
_cell_length_c 12.5172
********

# 1
The following is a calculated powder XRD pattern of RbTcNiAs3. It was derived from a cell relaxed with PBE, using Cu Kα (λ = 1.5418 Å).
No peak broadening, texture or thermal motion is included.

Structure:
```
data_RbTcNiAs3
_cell_length_a 8.4022
_cell_length_b 3.9280
_cell_length_c 9.4310
_cell_angle_alpha 90.00
_cell_angle_beta 114.17
_cell_angle_gamma 90.00
_symmetry_space_group_name_H-M 'P 1 21/m 1'
_symmetry_Int_Tables_number 11
_symmetry_space_group_name_Hall '-P 2yb'
loop_
_atom_site_label
_atom_site_type_symbol
_atom_site_fract_x
_atom_site_fract_y
_atom_site_fract_z
_atom_site_occupancy
Rb1 Rb 0.0093 0.2500 0.2388 1
Tc1 Tc 0.4493 0.7500 0.6869 1
Ni1 Ni 0.4951 0.2500 0.9049 1
As1 As 0.2638 0.2500 0.6514 1
As2 As 0.3237 0.2500 0.0509 1
As3 As 0.3989 0.7500 0.3995 1
```

Principal peaks in the range 2θ = 15–90°, sorted by position:
| (hkl) | two_theta | d/Å | I/Imax |
| --- | --- | --- | --- |
| 1 0 2 | 27.6 | 3.229 | 20.5 |
| 1 1 1 | 29.3 | 3.046 | 21.0 |
| 2 1 -1 | 31.2 | 2.868 | 100.0 |
| 2 1 -3 | 38.2 | 2.357 | 32.1 |
| 0 1 3 | 38.9 | 2.316 | 24.0 |
| 3 1 0 | 42.2 | 2.142 | 20.0 |
| 3 1 -3 | 43.2 | 2.095 | 19.3 |
| 2 1 2 | 44.0 | 2.056 | 26.8 |
| 0 2 0 | 46.2 | 1.964 | 35.9 |
| 4 1 -3 | 50.8 | 1.797 | 21.0 |

# 2
The following is a calculated powder XRD pattern of Ce2Ga3BiPt4. It was derived from a cell relaxed with PBE, using Cu Kα (λ = 1.5418 Å).
No peak broadening, texture or thermal motion is included.

Structure:
```
data_Ce2Ga3BiPt4
_cell_length_a 4.2301
_cell_length_b 4.2301
_cell_length_c 11.4780
_cell_angle_alpha 90.00
_cell_angle_beta 90.00
_cell_angle_gamma 90.00
_symmetry_space_group_name_H-M 'P -4 m 2'
_symmetry_Int_Tables_number 115
_symmetry_space_group_name_Hall 'P -4 -2'
loop_
_atom_site_label
_atom_site_type_symbol
_atom_site_fract_x
_atom_site_fract_y
_atom_site_fract_z
_atom_site_occupancy
Ce1 Ce 0.0000 0.5000 0.2360 1
Ga1 Ga 0.0000 0.5000 0.8766 1
Ga2 Ga 0.5000 0.5000 0.5000 1
Bi1 Bi 0.0000 0.0000 0.5000 1
Pt1 Pt 0.0000 0.0000 0.0000 1
Pt2 Pt 0.0000 0.5000 0.6632 1
Pt3 Pt 0.5000 0.5000 0.0000 1
```

Principal peaks in the range 2θ = 15–90°, sorted by position:
| (hkl) | two_theta | d/Å | I/Imax |
| --- | --- | --- | --- |
| 1 0 2 | 26.2 | 3.405 | 11.7 |
| 1 0 3 | 31.5 | 2.838 | 17.4 |
| 1 1 2 | 33.8 | 2.652 | 100.0 |
| 1 0 4 | 37.9 | 2.375 | 11.3 |
| 2 0 0 | 42.8 | 2.115 | 46.1 |
| 1 1 4 | 43.7 | 2.071 | 23.7 |
| 1 0 5 | 44.9 | 2.018 | 18.8 |
| 2 2 0 | 62.1 | 1.496 | 15.4 |
| 2 1 5 | 63.7 | 1.460 | 13.3 |
| 3 1 2 | 72.6 | 1.303 | 22.3 |

# 3
The following is a calculated powder XRD pattern of LaSmHoZn. It was derived from a cell relaxed with PBE, using Cu Kα (λ = 1.5418 Å).
No peak broadening, texture or thermal motion is included.

Structure:
```
data_LaSmHoZn
_cell_length_a 3.6301
_cell_length_b 3.6301
_cell_length_c 8.8150
_cell_angle_alpha 90.00
_cell_angle_beta 90.00
_cell_angle_gamma 90.00
_symmetry_space_group_name_H-M 'P 4 m m'
_symmetry_Int_Tables_number 99
_symmetry_space_group_name_Hall 'P 4 -2'
loop_
_atom_site_label
_atom_site_type_symbol
_atom_site_fract_x
_atom_site_fract_y
_atom_site_fract_z
_atom_site_occupancy
La1 La 0.0000 0.0000 0.0000 1
Sm1 Sm 0.5000 0.5000 0.6953 1
Ho1 Ho 0.5000 0.5000 0.2948 1
Zn1 Zn 0.0000 0.0000 0.4846 1
```

Principal peaks in the range 2θ = 15–90°, sorted by position:
| (hkl) | two_theta | d/Å | I/Imax |
| --- | --- | --- | --- |
| 1 0 1 | 26.6 | 3.357 | 19.6 |
| 0 0 3 | 30.4 | 2.938 | 13.5 |
| 1 0 2 | 31.9 | 2.802 | 100.0 |
| 1 1 0 | 35.0 | 2.567 | 50.1 |
| 1 0 3 | 39.5 | 2.284 | 9.5 |
| 1 1 3 | 47.0 | 1.933 | 16.4 |
| 2 0 0 | 50.3 | 1.815 | 17.8 |